Exercise >
Transcribe the whole of the entries below exactly, please.

Data >
-- begin --
Entry 1:
VASP calculation (PBE-GGA) on a relaxed structure of MgFePt2.

Properties
Total DFT energy (no corrections)   -6.04 eV per atom
E_form   -2.013 eV/f.u.
Mass density   13.00 g/cm3
DOS(E_F)   2.22 states/eV/f.u.

abc: 3.6170 2.8598 6.4756
angles: 63.71 90.00 90.00
Positions (direct):
Fe 0.5000 0.2500 0.2500
Pt 0.0000 0.9908 0.0093
Mg 0.5000 0.7500 0.7500
Pt 0.0000 0.5092 0.4907


Entry 2:
VASP calculation (PBE-GGA) on a relaxed structure of Ho2Er4Pb.

Properties
Total DFT energy (no corrections)   -4.49 eV per atom
E_form   -0.334 eV/f.u.
Mass density   9.43 g/cm3
DOS(E_F)   10.28 states/eV/f.u.

abc: 5.5649 6.7507 11.6696
angles: 90.00 104.37 90.00
Positions (direct):
Ho 0.5355 0.7500 0.0205
Er 0.8055 0.2500 0.5821
Er 0.3636 0.9891 0.7099
Er 0.9487 0.7500 0.8576
Er 0.6364 0.4891 0.2901
Ho 0.4645 0.2500 0.9795
Pb 0.0990 0.7500 0.1462
Er 0.0513 0.2500 0.1424
Er 0.3636 0.5109 0.7099
Er 0.6364 0.0109 0.2901
Pb 0.9010 0.2500 0.8538
Er 0.1945 0.7500 0.4179
Ho 0.7729 0.7500 0.5637
Ho 0.2271 0.2500 0.4363


Entry 3:
VASP calculation (PBE-GGA) on a relaxed structure of Ti4Tc3Pd.

Properties
Total DFT energy (no corrections)   -9.06 eV per atom
E_form   -4.574 eV/f.u.
Mass density   8.14 g/cm3
DOS(E_F)   3.16 states/eV/f.u.

abc: 4.4017 6.2298 8.8034
angles: 90.00 90.00 90.00
Positions (direct):
Tc 0.5001 0.0000 0.7500
Ti 0.5000 0.2418 0.0000
Tc 0.5000 0.5000 0.7500
Tc 0.5000 0.5000 0.2500
Tc 0.0000 0.0000 0.5000
Ti 0.0000 0.7582 0.7500
Ti 0.0000 0.7582 0.2500
Ti 0.0000 0.2418 0.7500
Tc 0.0000 0.0000 0.0000
Ti 0.0000 0.2418 0.2500
Pd 0.0000 0.5000 0.5000
Ti 0.5000 0.2418 0.5000
Pd 0.0000 0.5000 0.0000
Ti 0.5000 0.7582 0.0000
Tc 0.4999 0.0000 0.2500
Ti 0.5000 0.7582 0.5000


Entry 4:
VASP calculation (PBE-GGA) on a relaxed structure of Ce2ThBr.

Properties
Total DFT energy (no corrections)   -5.64 eV per atom
Mass density   8.58 g/cm3
DOS(E_F)   10.91 states/eV/f.u.

abc: 3.4962 3.4962 9.3747
angles: 90.00 90.00 90.00
Positions (direct):
Br 0.5000 0.5000 0.0000
Th 0.5000 0.5000 0.5000
Ce 0.0000 0.0000 0.2444
Ce 0.0000 0.0000 0.7556

=====

Entry 1:
! SnAs2Pd2 (PBE, optimized geometry); values from VASP
&SYSTEM
  ibrav = 0, nat = 10, ntyp = 3
/
ATOMIC_SPECIES
Sn 118.71 Sn.upf
As 74.92 As.upf
Pd 106.42 Pd.upf
ATOMIC_POSITIONS angstrom
Sn 1.189 -5.449 0.369
Sn 0.000 0.000 0.000
As 4.048 -6.002 -0.367
As 0.753 -8.377 0.872
As -1.669 -4.896 1.106
As 1.626 -2.521 -0.133
Pd 3.942 -3.464 0.916
Pd 3.425 -7.743 1.616
Pd -0.748 -7.060 2.707
Pd -0.230 -2.781 2.007
CELL_PARAMETERS angstrom
-4.059 -6.485 1.987
6.438 -4.413 -1.249
0.815 0.373 2.884
! Calculated density in Mg/m³: 8.5
! Energy above the lowest structure with this stoichiometry in meV/atom: 100
! DFT formation energy in eV per formula unit: -0.4



Entry 2:
! Sn3AsPd (PBE, optimized geometry); values from VASP
&SYSTEM
  ibrav = 0, nat = 5, ntyp = 3
/
ATOMIC_SPECIES
As 74.92 As.upf
Sn 118.71 Sn.upf
Pd 106.42 Pd.upf
ATOMIC_POSITIONS angstrom
As 0.000 0.000 0.000
Sn -2.483 -0.962 0.195
Sn 0.978 -2.384 0.701
Sn -0.078 0.724 2.569
Pd -1.583 -2.622 3.466
CELL_PARAMETERS angstrom
-4.967 -1.924 0.391
1.957 -4.767 1.402
-0.156 1.447 5.138
! Calculated density in Mg/m³: 5.9
! Energy above the lowest structure with this stoichiometry in meV/atom: 524
! DFT formation energy in eV per formula unit: 3.4



Entry 3:
! Sn3AsPd (PBE, optimized geometry); values from VASP
&SYSTEM
  ibrav = 0, nat = 5, ntyp = 3
/
ATOMIC_SPECIES
Sn 118.71 Sn.upf
Pd 106.42 Pd.upf
As 74.92 As.upf
ATOMIC_POSITIONS angstrom
Sn 0.000 0.000 2.586
Sn 0.000 2.586 0.000
Sn 2.586 0.000 0.000
Pd 0.000 0.000 0.000
As 2.586 2.586 2.586
CELL_PARAMETERS angstrom
5.172 0.000 0.000
0.000 5.172 0.000
0.000 0.000 5.172
! Calculated density in Mg/m³: 6.5
! Energy above the lowest structure with this stoichiometry in meV/atom: 0
! DFT formation energy in eV per formula unit: 0.8



Entry 4:
! SnAs2Pd (PBE, optimized geometry); values from VASP
&SYSTEM
  ibrav = 0, nat = 4, ntyp = 3
/
ATOMIC_SPECIES
As 74.92 As.upf
Sn 118.71 Sn.upf
-- stop --

Result >
Entry 1:
VASP calculation (PBE-GGA) on a relaxed structure of MgFePt2.

Properties
Total DFT energy (no corrections)   -6.04 eV per atom
E_form   -2.013 eV/f.u.
Mass density   13.00 g/cm3
DOS(E_F)   2.22 states/eV/f.u.

abc: 3.6170 2.8598 6.4756
angles: 63.71 90.00 90.00
Positions (direct):
Fe 0.5000 0.2500 0.2500
Pt 0.0000 0.9908 0.0093
Mg 0.5000 0.7500 0.7500
Pt 0.0000 0.5092 0.4907


Entry 2:
VASP calculation (PBE-GGA) on a relaxed structure of Ho2Er4Pb.

Properties
Total DFT energy (no corrections)   -4.49 eV per atom
E_form   -0.334 eV/f.u.
Mass density   9.43 g/cm3
DOS(E_F)   10.28 states/eV/f.u.

abc: 5.5649 6.7507 11.6696
angles: 90.00 104.37 90.00
Positions (direct):
Ho 0.5355 0.7500 0.0205
Er 0.8055 0.2500 0.5821
Er 0.3636 0.9891 0.7099
Er 0.9487 0.7500 0.8576
Er 0.6364 0.4891 0.2901
Ho 0.4645 0.2500 0.9795
Pb 0.0990 0.7500 0.1462
Er 0.0513 0.2500 0.1424
Er 0.3636 0.5109 0.7099
Er 0.6364 0.0109 0.2901
Pb 0.9010 0.2500 0.8538
Er 0.1945 0.7500 0.4179
Ho 0.7729 0.7500 0.5637
Ho 0.2271 0.2500 0.4363


Entry 3:
VASP calculation (PBE-GGA) on a relaxed structure of Ti4Tc3Pd.

Properties
Total DFT energy (no corrections)   -9.06 eV per atom
E_form   -4.574 eV/f.u.
Mass density   8.14 g/cm3
DOS(E_F)   3.16 states/eV/f.u.

abc: 4.4017 6.2298 8.8034
angles: 90.00 90.00 90.00
Positions (direct):
Tc 0.5001 0.0000 0.7500
Ti 0.5000 0.2418 0.0000
Tc 0.5000 0.5000 0.7500
Tc 0.5000 0.5000 0.2500
Tc 0.0000 0.0000 0.5000
Ti 0.0000 0.7582 0.7500
Ti 0.0000 0.7582 0.2500
Ti 0.0000 0.2418 0.7500
Tc 0.0000 0.0000 0.0000
Ti 0.0000 0.2418 0.2500
Pd 0.0000 0.5000 0.5000
Ti 0.5000 0.2418 0.5000
Pd 0.0000 0.5000 0.0000
Ti 0.5000 0.7582 0.0000
Tc 0.4999 0.0000 0.2500
Ti 0.5000 0.7582 0.5000


Entry 4:
VASP calculation (PBE-GGA) on a relaxed structure of Ce2ThBr.

Properties
Total DFT energy (no corrections)   -5.64 eV per atom
Mass density   8.58 g/cm3
DOS(E_F)   10.91 states/eV/f.u.

abc: 3.4962 3.4962 9.3747
angles: 90.00 90.00 90.00
Positions (direct):
Br 0.5000 0.5000 0.0000
Th 0.5000 0.5000 0.5000
Ce 0.0000 0.0000 0.2444
Ce 0.0000 0.0000 0.7556

=====

Entry 1:
! SnAs2Pd2 (PBE, optimized geometry); values from VASP
&SYSTEM
  ibrav = 0, nat = 10, ntyp = 3
/
ATOMIC_SPECIES
Sn 118.71 Sn.upf
As 74.92 As.upf
Pd 106.42 Pd.upf
ATOMIC_POSITIONS angstrom
Sn 1.189 -5.449 0.369
Sn 0.000 0.000 0.000
As 4.048 -6.002 -0.367
As 0.753 -8.377 0.872
As -1.669 -4.896 1.106
As 1.626 -2.521 -0.133
Pd 3.942 -3.464 0.916
Pd 3.425 -7.743 1.616
Pd -0.748 -7.060 2.707
Pd -0.230 -2.781 2.007
CELL_PARAMETERS angstrom
-4.059 -6.485 1.987
6.438 -4.413 -1.249
0.815 0.373 2.884
! Calculated density in Mg/m³: 8.5
! Energy above the lowest structure with this stoichiometry in meV/atom: 100
! DFT formation energy in eV per formula unit: -0.4



Entry 2:
! Sn3AsPd (PBE, optimized geometry); values from VASP
&SYSTEM
  ibrav = 0, nat = 5, ntyp = 3
/
ATOMIC_SPECIES
As 74.92 As.upf
Sn 118.71 Sn.upf
Pd 106.42 Pd.upf
ATOMIC_POSITIONS angstrom
As 0.000 0.000 0.000
Sn -2.483 -0.962 0.195
Sn 0.978 -2.384 0.701
Sn -0.078 0.724 2.569
Pd -1.583 -2.622 3.466
CELL_PARAMETERS angstrom
-4.967 -1.924 0.391
1.957 -4.767 1.402
-0.156 1.447 5.138
! Calculated density in Mg/m³: 5.9
! Energy above the lowest structure with this stoichiometry in meV/atom: 524
! DFT formation energy in eV per formula unit: 3.4



Entry 3:
! Sn3AsPd (PBE, optimized geometry); values from VASP
&SYSTEM
  ibrav = 0, nat = 5, ntyp = 3
/
ATOMIC_SPECIES
Sn 118.71 Sn.upf
Pd 106.42 Pd.upf
As 74.92 As.upf
ATOMIC_POSITIONS angstrom
Sn 0.000 0.000 2.586
Sn 0.000 2.586 0.000
Sn 2.586 0.000 0.000
Pd 0.000 0.000 0.000
As 2.586 2.586 2.586
CELL_PARAMETERS angstrom
5.172 0.000 0.000
0.000 5.172 0.000
0.000 0.000 5.172
! Calculated density in Mg/m³: 6.5
! Energy above the lowest structure with this stoichiometry in meV/atom: 0
! DFT formation energy in eV per formula unit: 0.8



Entry 4:
! SnAs2Pd (PBE, optimized geometry); values from VASP
&SYSTEM
  ibrav = 0, nat = 4, ntyp = 3
/
ATOMIC_SPECIES
As 74.92 As.upf
Sn 118.71 Sn.upf